June 27, 2012
This week the Civic Federation released its annual Status of Local Pension Funding report. This report reviews fiscal year 2010 actuarial valuation reports and financial statements of the retirement funds.[1] The purpose of this report is to compile and analyze basic financial data on ten major local government employee pension funds in the Chicago area.[2] It is intended to provide policymakers, pension trustees, pension fund members and taxpayers with information they need to make informed decisions regarding public employee retirement benefits. It explains common indicators of pension fund fiscal health and causes for change in the health of the local funds.
The following pension funds are included in the analysis.
- Municipal Employees’ Annuity and Benefit Fund of Chicago3
- Laborers’ and Retirement Board Employees’ Annuity and Benefit Fund of Chicago3
- Firemen’s Annuity and Benefit Fund of Chicago3
- Policemen’s Annuity and Benefit Fund of Chicago[3]
- County Employees’ and Officers’ Annuity and Benefit Fund of Cook County4
- Forest Preserve District Employees’ Annuity and Benefit Fund of Cook County[4]
- Metropolitan Water Reclamation District Retirement Fund
- Retirement Plan for Chicago Transit Authority Employees
- Public School Teachers’ Pension and Retirement Fund of Chicago[5]
- Park Employees’ & Retirement Board Employees’ Annuity and Benefit Fund[6]
Highlights of the data compiled on the ten pension funds are summarized below.
Funded Ratios:[7] The actuarial value funded ratio of each fund fell in FY2010 from FY2009.[8] All ten funds now have actuarial value funded ratios under 75%, ranging from a low of 32.4% for the Fire Fund to a high of 73.8% for the Laborers’ Fund. The actuarial value funded ratio for the aggregate of all ten funds’ assets and liabilities was 56.2% in FY2010, down from 88.0% in FY2001. Market value funded ratios were considerably lower, at an aggregate ratio of 50.3% in FY2010.[9] The lowest market value funded ratio was the Fire Fund at 29.9%, and the highest was the Laborers’ Fund at 68.9%.
Unfunded Liabilities:[10] Between FY2001 and FY2010 the aggregate unfunded actuarial accrued liabilities for the ten funds increased by $22.8 billion, rising from $4.6 billion to $27.4 billion. Unfunded liabilities per capita in Chicago for the ten local funds rose from $1,189 in FY2000 to $8,993 in FY2010. For the four City of Chicago pension funds alone, FY2010 unfunded liabilities were $14.8 billion, or $5,473 per capita.
Investment Income and Rate of Return:[11] The average rate of return on pension plan assets for funds with a January 1 to December 31 fiscal year was 13.7% in FY2010, down from 18.6% in FY2009. The average rate of return for funds using a July 1 to June 30 fiscal year was 12.7% in FY2010, up from -20.2% in FY2009. Investment income represented between 56% and 86% of total FY2010 income.
Ratio of Active Employees to Beneficiaries: Between FY2001 and FY2010 the ratio of total active employees to beneficiaries for the ten funds combined has gradually dropped from 1.70 actives per beneficiary to 1.23, indicating that there are fewer active employees supporting more retirees. The Laborers’, MWRD, Forest Preserve, CTA and Park District Funds all had more beneficiaries than actives in FY2010.
Assets and Liabilities: The ten pension funds had approximately $62.5 billion in combined pension and Other Post Employment Benefit (OPEB) accrued liabilities for FY2010.[12] Pension liabilities for the funds totaled $60.9 billion and OPEB liabilities of the funds totaled $1.6 billion. The funds’ assets had an aggregate actuarial value of $35.1 billion and a market value of $31.4 billion.
Employee Contributions: For all ten funds, employee contributions totaled $697.2 million in FY2010. Most employees contribute at rates ranging from 8.5% to 9.125% of salary.[13]
Employer Contributions and ARC: All funds received their statutorily required employer contributions in FY2010. However, none of the employers contributed the full actuarially calculated annual required employer contribution (ARC) in FY2010 and only two funds, the Teachers’ Fund and the CTA Fund, contributed more than 50% of the pension ARC.[14] In the aggregate, in order to meet the pension ARC in FY2010, employers should have contributed $2.1 billion. Instead they contributed less than half that amount, $959.1 million, falling short by approximately $1.2 billion. Employers contributed an aggregate equivalent of 12.6% of payroll to the pension funds for pension obligations, but in order to meet the ARC, they should have contributed an additional 15.2% for a total of 27.8% of payroll in FY2010.
____________
# PBE GaRuPt2W, relaxed
# **ΔH_f (0 K)**: 1.558 eV per atom
# **Density**: 11982 kg/m3
# **Electronic total energy**: -29.5 eV/cell
data_GaRuPt2W
_chemical_formula_sum 'Ga1 Ru1 Pt2 W1'
_cell_length_a 4.785
_cell_length_b 4.785
_cell_length_c 4.509
_cell_angle_alpha 90.00
_cell_angle_beta 90.00
_cell_angle_gamma 90.00
_space_group_name_H-M_alt 'P 1'
_space_group_IT_number 1
loop_
_space_group_symop_operation_xyz
'x,y,z'
loop_
_atom_site_label
_atom_site_fract_x
_atom_site_fract_y
_atom_site_fract_z
_atom_site_occupancy
Ga1 0.000 0.000 0.000 1
Ru1 0.000 0.000 0.500 1
Pt1 0.000 0.500 0.500 1
Pt2 0.500 0.000 0.500 1
W1 0.500 0.500 0.000 1

----------

(1)
The following is a PBE calculation of an optimized crystal structure of Cd3W, from Alexandria.

a = 9.7279 Å, b = 9.7279 Å, c = 2.8243 Å
α = 90.00°, β = 90.00°, γ = 120.00°
Space group R-3m (No. 166, hexagonal axes)
Inequivalent atoms, fractional coordinates:
Cd1 0.0000 0.5000 0.0000 x9
W1 0.0000 0.0000 0.0000 x3

Properties
The energy above the most stable polymorph in this dataset comes out at 0.126 eV per atom. The calculation puts the uncorrected energy at -0.2509 Ry/atom.



(2)
The following is a PBE calculation of an optimized crystal structure of PuZr2Re, from Alexandria.

a = 3.290 Å, b = 3.290 Å, c = 7.856 Å
α = 90.00°, β = 90.00°, γ = 90.00°
Space group P4/mmm (No. 123)
Inequivalent atoms, fractional coordinates:
Pu1 0.000 0.000 0.000 x1
Zr1 0.500 0.500 0.294 x2
Re1 0.000 0.000 0.500 x1

Properties
The energy above the most stable polymorph in this dataset comes out at 0.000 eV per atom. The calculation puts the uncorrected energy at -0.8084 Ry/atom.



(3)
The following is a PBE calculation of an optimized crystal structure of MgAlZn2, from Alexandria.

a = 9.778 Å, b = 2.926 Å, c = 4.842 Å
α = 90.00°, β = 99.21°, γ = 90.00°
Space group Cm (No. 8)
Inequivalent atoms, fractional coordinates:
Mg1 0.000 0.000 0.000 x2
Al1 0.243 0.000 0.720 x2
Zn1 0.252 0.500 0.232 x2
Zn2 0.496 0.000 0.497 x2

Properties
The calculation puts the uncorrected energy at -0.1451 Ry/atom.



(4)
The following is a PBE calculation of an optimized crystal structure of RbCuH2Au, from Alexandria.

a = 4.118 Å, b = 4.118 Å, c = 5.022 Å
α = 90.00°, β = 90.00°, γ = 90.00°
Space group P4/mmm (No. 123)
Inequivalent atoms, fractional coordinates:
Rb1 0.000 0.000 0.000 x1
Cu1 0.500 0.500 0.000 x1
H1 0.000 0.500 0.500 x2
Au1 0.500 0.500 0.500 x1

Properties
The calculation puts the uncorrected energy at -0.1976 Ry/atom.



(5)
The following is a PBE calculation of an optimized crystal structure of Cd2Bi2Pd, from Alexandria.

a = 7.375 Å, b = 7.375 Å, c = 4.981 Å
α = 90.00°, β = 90.00°, γ = 90.00°
Space group P4/mbm (No. 127)
Inequivalent atoms, fractional coordinates:
Cd1 0.157 0.343 0.000 x4
Bi1 0.159 0.659 0.500 x4
Pd1 0.000 0.000 0.500 x2

Properties
The energy above the most stable polymorph in this dataset comes out at 0.182 eV per atom. The calculation puts the uncorrected energy at -0.2144 Ry/atom.



(6)
____________
For more detailed information on the status of local pensions, read the full report here.
[1] Fiscal year 2010 data is the most recent audited data available for all ten pension funds.
[2] In this report the terms “pension fund” and “pension plan” are used interchangeably. The term “local government” is used here broadly and includes the Chicago Transit Authority, an Illinois municipal corporation. The seven governments and ten funds analyzed in this report were created by Acts of the Illinois General Assembly.
[3] The City of Chicago enrolls its employees in four different pension systems.
[4] The funds of Cook County and the Cook County Forest Preserve District are governed by the same pension board.
[5]Certified Teachers employed by the Chicago Board of Education participate in the Public School Teachers’ Pension and Retirement Fund of Chicago. Most other employees of the Board of Education are enrolled in the City of Chicago’s Municipal Employees’ Annuity and Benefit Fund. Approximately 16,061, or 52.3%, of Municipal Fund members considered to be active by the Fund are Board of Education employees. Chicago Public Schools, Comprehensive Annual Financial Report for the fiscal year ended June 30, 2011, p. 75. A very small number of Board of Education employees are enrolled in the Laborers’ Fund.
[6]The fiscal year of the Park Employees’ and the Public School Teachers’ pension funds is July 1-June 30. The other eight funds use a January 1 – December 31 fiscal year. On May 31, 2012, the Illinois General Assembly passed Senate Bill 3629, which, if signed into law, would amend the Park District Fund’s fiscal year to be concurrent with the calendar year and the sponsoring government’s fiscal year, beginning January 1, 2013.
[7] Funded ratio is the ratio of assets to liabilities. Usually this ratio is expressed in terms of actuarial values, as required by GASB 25. When a pension fund has enough assets to cover all its accrued liabilities, it is considered 100% funded.
[8] Actuarial value of assets smoothes asset gains and losses over four or five years.
[9] Market value of assets can be reported by their market value, which recognizes unrealized gains and losses immediately in the current year and can produce significant fluctuation year-to-year. This measure is subject to volatility in the market.
[10] Unfunded liabilities are the current liabilities not covered by actuarial assets. It is calculated by subtracting the actuarial value of assets from the actuarial accrued liability of a fund.
[11] The Civic Federation calculates investment rate of return using the following formula for all funds: Current Year Rate of Return = Current Year Gross Investment Income/ (0.5*(Previous Year Market Value of Assets + Current Year Market Value of Assets – Current Year Gross Investment Income)). This is not necessarily the formula used by all funds’ actuaries and investment managers, thus investment rates of return reported here may differ from those reported in a fund’s actuarial statements. However, it is a standard actuarial formula.
[12] This report focuses only on OPEB obligations for the employees of the sponsoring government, not the fund staff. The obligation for fund staff is typically very small compared to the obligation for government employee fund members.
[13] In FY2009, CTA employees paid 6.0% of salary, but this increased to 8.345% in FY2010. CTA is the only government reviewed in this report whose employees also participate in Social Security.
[14] ARC is an accounting reporting requirement, not a funding requirement. However, it does represent a reasonable calculation of the amount of money the employer might contribute each year in order to cover costs attributable to the current year and to reduce unfunded liabilities.